Newsletter Term 1 Week 1 (7.2.25)
A Blessing for a New School Year
With gratitude for the gift of an exciting new year, we ask for God’s blessing on our parish school community here at St Anthony’s.
May our school be a place of friendship, laughter and growth.
May every classroom be a place of love, respect and discovery.
May every student grow in faith, love and confidence and flourish in our school.
May every staff member be reminded of their call to serve as they witness to our faith and ignite a sense of wonder and awe in our children.
May everyone in our school community experience a sense of welcome and belonging.
May every name in our school be blessed, because each person is a precious gift from God.
And only together can we learn and grow.
We ask this through Christ our Lord,

[Unrelated to this page: materials data]
____________
Structure and simulated powder diffraction line list of Pm5MgIn8 (DFT lattice parameters and positions (GGA-PBE); Cu Kα X-rays).
Peak positions follow from Bragg's law for the DFT cell and can differ from measured ones.

Largest 8 diffraction maxima, most intense first, 2θ = 15–90°:
2θ 30.1, rel. 1000
2θ 36.5, rel. 554
2θ 35.9, rel. 374
2θ 31.0, rel. 363
2θ 36.1, rel. 290
2θ 47.7, rel. 195
2θ 60.9, rel. 142
2θ 23.7, rel. 130

Atomic structure:
a b c (Å): 8.050 8.050 8.050
angles (deg): 108.67 108.67 111.09
Sites, in units of the cell vectors:
Pm 0.000 0.000 0.000
Pm 0.105 0.248 0.631
Pm 0.526 0.895 0.142
Pm 0.617 0.474 0.369
Pm 0.752 0.383 0.858
Mg 0.250 0.750 0.500
In 0.067 0.650 0.746
In 0.215 0.474 0.105
In 0.350 0.096 0.417
In 0.369 0.110 0.895
In 0.526 0.631 0.741
In 0.679 0.933 0.583
In 0.890 0.785 0.259
In 0.904 0.321 0.254

Structure and simulated powder diffraction line list of K2MgTiF6 (DFT lattice parameters and positions (GGA-PBE); Cu Kα X-rays).
Peak positions follow from Bragg's law for the DFT cell and can differ from measured ones.

Largest 8 diffraction maxima, most intense first, 2θ = 15–90°:
2θ 43.6, rel. 1000
2θ 30.3, rel. 539
2θ 30.6, rel. 524
2θ 37.7, rel. 341
2θ 63.1, rel. 271
2θ 63.8, rel. 263
2θ 54.3, rel. 186
2θ 80.4, rel. 118

Atomic structure:
a b c (Å): 5.894 5.894 5.894
angles (deg): 59.39 59.39 59.39
Sites, in units of the cell vectors:
K 0.248 0.248 0.248
K 0.752 0.752 0.752
Mg 0.000 0.000 0.000
Ti 0.500 0.500 0.500
F 0.243 0.243 0.756
F 0.243 0.756 0.243
F 0.244 0.757 0.757
F 0.756 0.243 0.243
F 0.757 0.244 0.757
F 0.757 0.757 0.244

Structure and simulated powder diffraction line list of LiGaHgBr4 (DFT lattice parameters and positions (GGA-PBE); Cu Kα X-rays).
Peak positions follow from Bragg's law for the DFT cell and can differ from measured ones.

Largest 8 diffraction maxima, most intense first, 2θ = 15–90°:
2θ 24.9, rel. 1000
2θ 26.4, rel. 992
2θ 18.1, rel. 899
2θ 18.0, rel. 872
2θ 29.2, rel. 501
2θ 29.6, rel. 487
2θ 23.3, rel. 432
2θ 44.7, rel. 431

Atomic structure:
a b c (Å): 8.093 8.093 11.115
angles (deg): 115.99 115.99 75.00
Sites, in units of the cell vectors:
Li 0.173 0.173 0.016
Li 0.827 0.827 0.984
Ga 0.167 0.167 0.304
Ga 0.833 0.833 0.696
Hg 0.424 0.424 0.081
Hg 0.576 0.576 0.919
Br 0.004 0.627 0.821
Br 0.040 0.040 0.746
Br 0.316 0.316 0.549
Br 0.373 0.996 0.179
Br 0.627 0.004 0.821
Br 0.684 0.684 0.451
Br 0.960 0.960 0.254
Br 0.996 0.373 0.179

Structure and simulated powder diffraction line list of Y4FeOs (DFT lattice parameters and positions (GGA-PBE); Cu Kα X-rays).
Peak positions follow from Bragg's law for the DFT cell and can differ from measured ones.

Largest 8 diffraction maxima, most intense first, 2θ = 15–90°:
2θ 35.6, rel. 1000
2θ 30.2, rel. 347
2θ 57.2, rel. 331
2θ 37.2, rel. 323
2θ 62.8, rel. 255
2θ 53.6, rel. 138
2θ 75.3, rel. 118
2θ 74.3, rel. 113

Atomic structure:
a b c (Å): 5.921 5.921 5.921
angles (deg): 60.00 60.00 60.00
Sites, in units of the cell vectors:
____________

Welcome Back
Welcome back to the beginning of a new and exciting school year. I trust that you all enjoyed a relaxing and enjoyable break with your children and found some downtime to escape the hectic pace of the school week, lunches and washing of uniforms.
We have had an extremely positive start to the school term with students returning with a clear intent on meeting expectations for their learning and behaviour and I am extremely impressed with how settled and positive the feel is in the school.
I have loved visiting classrooms and listening to teachers spending time developing positive relationships with their students, setting high expectations for learning and behaviour and most importantly, ensuring that our children know how important they are.
Seeing the joy on their faces when they share and talk about their learning is one of the great privileges of being a Principal. It is also a strong reminder that our school exists for our children and we must ensure that we are prepared to do whatever it takes for them to experience success and to know that they are loved, cared for and belong.
I have been made to feel incredibly welcome and I am grateful to the whole community for your warm welcome and support during my first week. It is amazing to see so many smiles of a morning, receive so many high fives from our children as they arrive and even parents. There is a very strong sense of community here at St Anthony’s and I have loved being accepted so quickly into the school family.
Thank you for an amazing first week of school. Have a wonderful weekend and I look forward to seeing you all again next week.
Michael Piccoli
Parent Community Group
We will be holding our first parent community group meeting on Monday 24th February at 5:30pm in the school hall and I can’t wait to meet and talk with you.
Our first gathering will be a wonderful opportunity to welcome parents and guardians, enjoy some drinks and nibbles and for me to be able to listen and learn from our parents. Our conversation will help me understand all the things you love about the school, but also hear from you about the areas where we can improve for our children.
There are many different ways to be involved in your child’s educational journey and the parent community group is one way of supporting school initiatives, having your voice heard, being part of school decisions and future directions and developing a stronger sense of community and partnership.
I thank you in advance for everything you do to support your child’s education and our school. I look forward to seeing you on the 24th February at 5:30pm.

Year 6 Leaders 2025
As a school community it is important to recognise that we are all leaders. We can be leaders in everything that we do in our daily lives - in our work, at school, when we are teaching others or when we are learning from others. Often in life we are faced with difficult decisions and challenges and it is our attitude that often determines the path we take and the choices that we make.
During the week, our current Year 6 students have been reflecting on their desire to be a Year 6 Leader in 2025, preparing their speeches and writing their applications. I can’t wait to read their applications and listen to their speeches. No matter the outcome, having the courage to present yourself in front of your peers and the school, is an incredible achievement in itself.
Facing challenges and learning from our mistakes takes courage and support from family, friends and our school community. As our Year 6 leaders continue on their journey of learning and leadership throughout the year, we wish them every success and pray that they will have the strength to face challenges, learn from their mistakes and strive to be the best that they can be for themselves and for our school community.
Our leadership speeches will be held at 8:40am on Friday 14th February in the school hall.
It is our choices…that show who and what we truly are, far more than our abilities.
Important Dates & School Information
Term 1 2025
Week 2
Monday 10th February- First Day of School for KINDERGARTEN
Thursday 13th February- Years 3-6 Mass, 9am
Friday 14th February- 11:45am Year 6 Leadership Speeches in the school hall.
Sunday 16th February- Staff Commissioning Mass, 9am
Week 3
Thursday 20th February- Whole School Mass, 9am
Week 4
Monday 24th February- Family Community Group Meeting 5:30pm in the school hall
Monday, 24th February - Scholastic Book Club - Student orders due
Thursday 27th February- Years K-2 Mass, 9am
Week 5
Tuesday 4th March-Shrove Tuesday
Tuesday 4th March-Reconciliation Family Workshop 5-6pm
Wednesday 5th March-Ash Wednesday, Whole School Mass, 9am
Week 6
Learning Partnership Conferences
Wednesday 12th March-NAPLAN Years 3 and 5
Thursday 13th March-NAPLAN Years 3 and 5
Thursday 13th March- Years 3-6 Mass 9am
Friday 14th March-NAPLAN Years 3 and 5
Week 7
Learning Partnership Conferences
Monday 17th March-St Patrick’s Day
Thursday 20th March-K-2 Mass, 9am
Thursday 20th March- Family Faith and Fun Night 5:30-7pm
Friday 21st March-Harmony Day
Week 8
Thursday 27th March-Years 3-6 Mass, 9am
Week 9
Thursday 3rd April - K-2 Mass, 9am
Week 10
Wednesday 9th April-First Reconciliation 6-7pm
Thursday 10th April- Years 3-6 Mass, 9am
Friday 11th April- Last Day of Term 1
Child Protection Policy can be found on our School Website under Information/School Policies: St Anthony's Primary School Website or in the following link:

Something to think and pray about

The source of Love
February has many themes, starting with St Brigid and ending with the possibility of a leap year. In the middle of it all is the feast of St Valentine. There were many Valentines in the early church. The first Valentine, who may be the original St Valentine, died around AD 270 for reputedly celebrating the marriage of the early Christians, a practice forbidden by law.
When love is celebrated we sometimes wonder what is being celebrated. Is it a passing, fleeting moment of emotional ecstasy? Or is it the pain of loss? Or are we marking something that is eternal, joyful and beyond words?
A starting point might be to name the source of love –we may think that we are the source of our love. Or we can ask does love come from somewhere else? If love comes from somewhere other than the self, then it doesn’t depend on us. The love from elsewhere can be my strength and sustenance in the act of loving and being loved. It can also tell us how to repair that love. Our Christian faith gives us the story of Jesus of Nazareth as he teaches us how to weave forgiveness, sacrifice, support, care, memory and healing into our story of love.
‘Beloved, let us love one another, for love is from God, and whoever loves has been born of God and knows God’ (1 John 4:7). Believing this, we know that loving doesn’t depend on us, but on the source of it all.
Excerpted from The Sacred Heart Messenger, Alan Hilliard, February 2021
We remember at this time...
Cancer is experienced by people all over the world yet behind everyone’s experience is a unique, human story of grief, pain, anxiety, healing, resilience and more. Lord, we pray for Your healing touch, for comfort in the pain, and peace in our hearts. Surround all who are suffering, with your love, and remind us that we are never alone in this journey. You are there beside us even in the darkest hours.
We ask for Your strength to fill those who love and care for those who are ill. For family and friends who may feel helpless, unsure of how to help, and fearful of the unknown, may they be given grace, peace and strength, knowing that even the smallest act of care, is a reflection of Your love.
We pray for those who are working in cancer research that they may find breakthroughs toward finding cures.
We also pray for those who have lost loved ones to cancer, that they may feel your loving presence. Amen!

Pram left at the Kingscliff Pool from the Primary Swimming Carnival.

Parish Information and News

**Records of crystals, kept here for reference:**
+++
Simulated powder diffractogram
Compound: Li13Mn6P8O32
Radiation: Cu Kα X-rays
Structure: DFT lattice parameters and positions (PBE+U)

Main lines, in order of rising 2θ (5 to 70 degrees two-theta):
d [Å]	2theta	intensity
10.440	8.47	32.9
5.220	16.99	26.4
4.416	20.11	100.0
3.558	25.03	38.4
3.187	28.00	85.6
2.832	31.59	34.7
2.605	34.43	49.2
2.586	34.69	37.6
2.566	34.96	27.9
2.373	37.92	34.9

Cell and atoms:
```
Li13Mn6P8O32
1.0
7.9827 0.0000 0.0000
-2.1164 7.7843 0.0000
-2.7778 -3.9709 10.4402
Li Mn P O
13 6 8 32
direct
0.0000 0.0000 0.0000
0.0029 0.2473 0.3975
0.1302 0.8740 0.6689
0.2187 0.0120 0.2743
0.3339 0.1611 0.9222
0.4704 0.5346 0.0104
0.4752 0.7494 0.2805
0.4875 0.7645 0.8016
0.6457 0.3752 0.6693
0.7173 0.5140 0.2686
0.8215 0.6493 0.9199
0.9425 0.2491 0.1497
0.9642 0.2365 0.7746
0.0296 0.5477 0.0764
0.4376 0.4839 0.4991
0.4733 0.9882 0.5692
0.5134 0.0286 0.0795
0.9209 0.9578 0.4933
0.9493 0.4794 0.5863
0.0980 0.6259 0.3842
0.2011 0.7356 0.8857
0.2605 0.2745 0.6887
0.3488 0.3770 0.1885
0.5988 0.1285 0.3864
0.7006 0.2374 0.8928
0.7526 0.7907 0.6977
0.8478 0.8783 0.1909
0.0435 0.5906 0.8991
0.0663 0.2600 0.6016
0.1655 0.4959 0.4484
0.1805 0.7022 0.7418
0.1838 0.2221 0.1856
0.2046 0.9342 0.9505
0.2586 0.3070 0.8269
0.2619 0.7792 0.3852
0.2673 0.0765 0.6306
0.2870 0.5126 0.1282
0.3962 0.7337 0.9512
0.4172 0.4258 0.6796
0.4607 0.0074 0.2487
0.4665 0.3001 0.1125
0.4843 0.4991 0.3274
0.4845 0.2086 0.4654
0.5444 0.0864 0.9032
0.5530 0.7881 0.6346
0.6570 0.9875 0.4448
0.6875 0.1980 0.7494
0.6894 0.7251 0.1945
0.6974 0.4339 0.9519
0.7437 0.5936 0.6222
0.7653 0.2770 0.3855
0.7775 0.8167 0.8393
0.7809 0.0109 0.1308
0.8958 0.2418 0.9684
0.9063 0.9380 0.6815
0.9640 0.5043 0.2443
0.9659 0.8051 0.1124
0.9813 0.7057 0.4611
0.9876 0.9984 0.3301
```

=====

Simulated powder diffractogram
Compound: Li4Mn7P6O24
Radiation: Cu Kα X-rays
Structure: DFT lattice parameters and positions (PBE+U)

Main lines, in order of rising 2θ (5 to 70 degrees two-theta):
d [Å]	2theta	intensity
7.240	12.22	56.3
6.403	13.83	100.0
3.829	23.23	63.9
2.830	31.61	95.3
2.740	32.68	76.8
2.413	37.26	24.4
2.398	37.50	26.7
2.230	40.45	25.5
2.200	41.03	19.3
1.693	54.17	22.0

Cell and atoms:
```
Li4Mn7P6O24
1.0
5.4527 -7.2400 0.0000
5.4527 7.2400 0.0000
-1.8374 0.0000 6.4027
Li Mn P O
4 7 6 24
direct
0.0000 0.0000 0.0000
0.3261 0.5574 0.9932
0.5574 0.3261 0.9932
0.6398 0.6398 0.9134
0.0052 0.0052 0.4920
0.0060 0.6462 0.6760
0.0103 0.3664 0.2972
0.3425 0.6741 0.4850
0.3664 0.0103 0.2972
0.6462 0.0060 0.6760
0.6741 0.3425 0.4850
0.0855 0.7197 0.1853
0.2901 0.9156 0.7863
0.3335 0.3335 0.5755
0.6786 0.6786 0.4044
0.7197 0.0855 0.1853
0.9156 0.2901 0.7863
0.0353 0.6244 0.3523
0.0368 0.3693 0.9926
0.1114 0.9023 0.2506
0.1112 0.9045 0.7322
0.2036 0.2036 0.6159
0.2570 0.7107 0.1830
0.2583 0.4326 0.4411
0.2831 0.7383 0.7798
0.3693 0.0368 0.9926
0.3836 0.9592 0.6136
0.4326 0.2583 0.4411
0.4443 0.4443 0.7828
0.5661 0.5661 0.2021
0.5851 0.7547 0.5498
0.6244 0.0353 0.3523
0.6580 0.9639 0.9766
+++

Parish Priest: Fr Paul McDonald
Finance Manager: Paul Crouch
Parish Secretary: Marty Darragh
Pastoral Assistant: Catherine Holliday
Phone: 0266741368
Current Office Hours: Tuesday - Thursday 9am-3pm
St Anthony's Parish - Care Group
Many parents may have noticed from the Parish Bulletin, that the Parish has a Care Group which, among other things seeks to provide meals to any parishoners in need.
This could include times of family sickness, new mums struggling to provide for the family in the early days of returning home, and many other circumstances of genuine need.
Please be aware that the Care Group is very willing to help out if any families find themselves in need of this service.
Contact: Parish Office: 0266 741 284 or Maree Moore 0439 174 116